Against control there are 11 cards in this sideboard I absolutely think are a necessity that you have but what in the world do you sub out? Arbor Colossus , Polukranos, World Eater and Scavenging Ooze 's so there's six cards out. Need 5 more? lol
November 15, 2013 2:19 p.m.
golffore297 says... #3
DTucker-In my local meta, I will generally not need to side in more than 6 cards because the type of play is very spread out. I do have a lot of control stopping stuff in here, but some controls work differently, so which control-stoppers I use will be ore of a case by case basis.
Apoptosis-I can try to get some of the rarer cards online, but I don't really have much money to spend, so maybe I can make a cheap, but powerful, deck so that I can eventually earn trade value and/or cards I need.
November 15, 2013 6:39 p.m.
golffore297 says... #5
Too bad Khalni Hydra isn't Standard anymore, else he would certainly be in here. Maybe someone, possibly me, could make a Modern deck with the same ideas.
November 17, 2013 10:58 a.m.
kcajattack says... #6
golffore297 i made a devotion hydra deck after yours and i think it is pretty good. hydra devotion
November 17, 2013 11:43 a.m.
I run a G/r devotion deck at my FNM standard and it's fun as hell. I run something like this: 4 mystic, 2 caryatid, 2 voyaging saytr, 4 emissary, 3 polukranos, 4 boon saytr, 3 reverent hunter, 4 arbor colossus, 2 Domri, 2 Xenagos, 2 Mizzium Mortars, 2 Wasteland Viper , and 3 nylea.
Like I said its fun as hell. I play the viper for deathtouch and polukranos. Attack with polukranos but !!BEFORE BLOCKERS!! Bloodrush the viper to give him deathtouch then monstrous polukranos wipe the opponents board and swing for at least 5. Domri works really well in this deck cuz I have so many creatures. Awesome card advantage and spot removal as long as I have a big creature out, with as much ramp as I'm running I always do. I've played turn 2 Xenagos into colossus and reverant hunter with Nykthos and the emissarys. My board presence explodes with this deck and I'm amazed at how few lands I can operate with as long as I get a Nykthos and/or Xenagos out. Its can be a little weak game 1 against counter heavy blue based control decks like Esper and U/W but mistcutters and Witchstalker usually is all I need. I started the deck as mono green devotion and splashed red for some planeswalkers against control and it just ran great I hope this helps.
November 17, 2013 6:16 p.m.
Although Scavenging Ooze is a good card, I think that Kalonian Tusker would work better for this deck. It adds an extra devotion and has better stats than Scavenging Ooze if you get him at the beginning of the game.
November 17, 2013 6:34 p.m.
golffore297 says... #10
I've contemplated Kalonian Tusker before, but I would rather have something that comes out of Burning-Tree Emissary and adds an extra devotion on turn 2 rather than having to wait to play my 2 drop.
November 17, 2013 7:25 p.m.
You don't really need the ooze or the tusker they just lower your odds of drawing into your emmisarys with as much ramp as your running u should be playing more big mana sinks to drop the hammer on opponents early. I tried running tuskers in my deck, I mean a 3/3 for GG where's the down side, but he's just not needed. Seriously Witchstalker is a good addition to the mainboard with all the blue and black played in the meta right now. He doesn't die to most removal and he gets counters when ur blue or black opponents try any shananigans on your turn. Why the clan defiance u have no red mana sources outside the emmisarys, drop that and the Golgari charm and get 4 Pit Fight , drop the overgrown tomb and think about mutavault it's good against control in an aggro deck. Also too much ramp isnt good so I'd drop the Karametra acolytes cuz she's not that good early or without much devotion. Run 4 colossus and get some nylea in there. I mean even if she isn't a creature she still gives everbody trample, can break board stalls, and she can pump. What's the use of 128 mana on turn whatever if u can't use it to play big guys or pump dudes the synergy she provides is great in this kind of devotion deck. Also Boon Satyr is really good for a 3 drop but I usually have enough mana to bestow him on Witchstalker or arbor colossus to put opponents on a pretty quick clock and the flash can work as pseudo removal if you flash him out on a blocker. Also Reverent Hunter is pretty awesome for a 3 drop with a few mystics and emmisarys out. In a rampy aggro deck like this consistency is key so 2 of anything isnt good. I mean your chances of drawing it before the game's over are slim to none. Let me know if you think any of these are good ideas or not.
November 17, 2013 11:55 p.m.
I ended up modeling a deck after this only I made a little tweak to it. Possibly tell me your opinion please? deck:Green Devotion & Then Some
November 18, 2013 5:10 p.m.
golffore297 says... #14
DimirDan: Card odds aren't generally affected by how many other copies of cards you have in the deck, they are based on the number of cards in your deck and the number of copies of that specific cards you run. No matter how I shift the cards around, as long as I run 60 cards, I will have the same odds of drawing Burning-Tree Emissary . Witchstalker is a great card, but at my LGS, he will only be needed in some situations as I don't have more than a couple of people that run control. Clan Defiance has two sources of red mana at the moment, being Burning-Tree Emissary and Sylvan Caryatid . There's a chance I may invest in 1 or 2 Stomping Ground s for another source. The Golgari Charm is part of protecting all my creatures from boardwipes with the Regenerate clause. Pit Fight is still a decent fight card, but it is just not normally going to be needed as my creatures will usually be too big to just brush past. I found that Nykthos, Shrine to Nyx by itself, with Voyaging Satyr , were just not enough sometimes, and card odds are low since I didn't want a 4 of a legendary land. The Karametra's Acolyte s allow me to have a Nykthos-like source, but with the ability for a 4-of. I feel like there are plenty of mana sinks in this deck between Mistcutter Hydra , Polukranos, World Eater , and Nylea, God of the Hunt . As for Boon Satyr and Reverent Hunter , they are great cards, but they just weren't what I was looking for when I was thinking up this decklist.
DTucker: Great! I think it is good when people but their own little twists onto things to be able to run it were they play or just try something different. I'll check it out when I have a chance.
November 18, 2013 8:58 p.m.
I'm sorry if you got the wrong idea about what I said about card draw. What I meant was if your ramping so much that your dropping your big dudes early then the game will be over before you draw into your 2 of cards. If your confused about the odds just check the draw odds at the top of the page. You can't tell me that the odds are the same for drawing a 2 of versus a 4 of. And when I said it decreases the odds of drawing the emmisarys I meant that too many 2 drop creatures decreases the odds of getting her to play on turn 2. If your deck is full of oozes and tuskers the odds of you drawing them in your opening hand increases for that 2 drop slot. For your deck to Nykthos properly you need those emmisarys early to blast your devotion. That's why I like the colossus so much. His GGG3 is great for the devotion he almost turns on nylea by himself and the reach he brings is great in those match ups where your opponent is running flyers. Imagine running into an archangel of thune and being able to monstrous him and take her out just like that. I'm trying to help your deck play better I'm not trying to insult you. If you thought I was being mean I'm sorry I just want the green decks to be the best they can be.
November 18, 2013 11:15 p.m.
golffore297 says... #16
I'm not taking suggestions as insults, I'm really not. I'm just trying to justify the choices I made, mostly to myself, because a good amount of the cards in this deck are based on my local meta. I'm trying to come off in a way that is not abrasive, so sorry if I came off that way. I'm trying to not run too many large creatures, but have it so that I will get 1-3 game finishers a game. This is why Garruk, Caller of Beasts is an important part of this deck because of his card draw ability. I want to end the game as fast as possible because at my LGS, a lot of the decks work quickly, so I tried to come up with a way to be quick, but efficient.
_What comes next are calculated crystals, not part of the text_
# 1
HfZn3O | SCAN | single point on PBEsol structure

Geometry as POSCAR:
```
HfZn3O
1.0
4.2128 0.0000 0.0000
0.0000 4.2128 0.0000
0.0000 0.0000 4.2128
Hf Zn O
1 3 1
direct
0.0000 0.0000 0.0000
0.0000 0.5000 0.5000
0.5000 0.0000 0.5000
0.5000 0.5000 0.0000
0.5000 0.5000 0.5000
```

magnetization: 1.480 Bohr magnetons per cell
relative energy among the computed polymorphs: 0.000 kcal/mol of atoms

# 2
HfZrO4 | SCAN | single point on PBEsol structure

Geometry as POSCAR:
```
HfZrO4
1.0
5.8054 0.0000 0.0000
0.0000 4.8331 0.0000
-2.2303 0.0000 5.3593
Hf Zr O
2 2 8
direct
0.0000 0.0000 0.0000
0.0000 0.5000 0.5000
0.5000 0.0000 0.5000
0.5000 0.5000 0.0000
0.1503 0.1966 0.3447
0.1503 0.3034 0.8447
0.3452 0.6922 0.6500
0.3452 0.8078 0.1500
0.6548 0.1922 0.8500
0.6548 0.3078 0.3500
0.8497 0.6966 0.1553
0.8497 0.8034 0.6553
```

magnetization: 0.000 Bohr magnetons per cell
electronic total energy: -23.493 eV per atom

# 3
HfZrO4 | SCAN | single point on PBEsol structure

Geometry as POSCAR:
```
HfZrO4
1.0
-3.5708 3.5708 5.1484
3.5708 -3.5708 5.1484
3.5708 3.5708 -5.1484
Hf Zr O
4 4 16
direct
0.2496 0.0000 0.2496
0.7500 0.0004 0.2504
0.7504 0.0000 0.7504
0.7500 0.4996 0.7496
0.2512 0.0015 0.7504
0.2512 0.5008 0.2496
0.2508 0.5012 0.7496
0.7515 0.5012 0.2504
0.1002 0.0994 0.4961
0.1002 0.6042 0.0008
0.1480 0.1480 0.0000
0.1487 0.6487 0.5000
0.3542 0.3502 0.5008
0.3542 0.8533 0.0039
0.3987 0.3987 0.0000
0.4009 0.9009 0.5000
0.6033 0.0994 0.9992
0.6033 0.6042 0.5039
0.6502 0.1502 0.5000
0.6509 0.6509 0.0000
0.8494 0.3502 0.9961
0.8494 0.8533 0.4992
0.8980 0.3980 0.5000
0.9002 0.9002 0.0000
```

magnetization: 0.000 Bohr magnetons per cell
electronic total energy: -23.509 eV per atom

# 4
HfZrO4 | SCAN | single point on PBEsol structure

Geometry as POSCAR:
```
HfZrO4
1.0
-2.5246 2.5246 5.1486
2.5246 -2.5246 5.1486
2.5246 2.5246 -5.1486
Hf Zr O
2 2 8
direct
0.3750 0.1250 0.2500
0.6250 0.8750 0.7500
0.1250 0.3750 0.7500
0.8750 0.6250 0.2500
0.0254 0.2719 0.2497
0.2281 0.9778 0.7536
0.2757 0.5254 0.2536
0.4778 0.2243 0.7497
0.5222 0.7757 0.2503
0.7243 0.4746 0.7464
0.7719 0.0222 0.2464
0.9746 0.7281 0.7503
```

magnetization: 0.000 Bohr magnetons per cell
electronic total energy: -23.509 eV per atom

----------

No. 1
# PBE-GGA CrTc2Pt, relaxed
data_CrTc2Pt
_space_group_name_H-M_alt 'P 1'
_space_group_IT_number 1
_space_group_name_Hall 'P 1'
_cell_length_a 4.191
_cell_length_b 2.699
_cell_length_c 5.194
_cell_angle_alpha 75.01
_cell_angle_beta 90.00
_cell_angle_gamma 90.00
loop_
_atom_site_label
_atom_site_type_symbol
_atom_site_fract_x
_atom_site_fract_y
_atom_site_fract_z
_atom_site_occupancy
Pt1 Pt 0.500 0.701 0.723 1
Tc1 Tc 0.000 0.050 0.025 1
Tc2 Tc 0.500 0.437 0.252 1
Cr1 Cr 0.000 0.312 0.500 1
# ΔE to the lowest computed polymorph = 93 meV per atom
# V = 56.8 Å³/cell
# Calculated total energy = -9.103 eV/atom
# E_form = 0.00 eV per atom
# DOS(E_F) = 1.15 states/eV/atom

---

No. 2
# PBE-GGA HoSc2Sn, relaxed
data_HoSc2Sn
_space_group_name_H-M_alt 'P 1'
November 19, 2013 9:57 a.m.
Cool I look forward to hearing how well you do in your local FNM. Good luck.
November 19, 2013 12:59 p.m.
Yeah I'm loving the feel of the deck built off of this Don't Make The Hulk Angry. You came up with the most brilliant idea ever and I figured I'd toss in my two cents on it! Please take a peek and thank you again, amazing deck +1.
November 19, 2013 1:29 p.m.
kcajattack says... #19
i have made a deck based of your golffore297 and its a fair turn 2 Worldspine Wurm and alot cheaper hydra devotion comments with advice plz
November 19, 2013 7:04 p.m.
Into the Wilds should either be Clan Defiance or another Hydra of some sort. You do not really want to waste your time playing that or having it just sit in your hands when there is more that you could be doing. 99% of the time you will be better off casting one of those cards I mentioned or activating monstrosity or even just acting like there is something in your hand. +1 Though.
November 20, 2013 5:21 a.m.
As for your mana generation contest, there's a fairly easy way to get unlimited mana on turn 4:
T1: 7 Cards in hand
Play Forest, tap for Elvish Mystic
T2: 6 Cards in hand
Tap Forest and Elvish Mystic for 2x Burning-Tree Emissaries. Play Nykthos, Shrine to Nyx and tap it with the 2 floating mana for 5 floating Green mana. Play a Voyaging Satyr.
Materials data, as found in the file
Run w
Entry from the Alexandria database: crystalline YPuU at its relaxed geometry (PBE).

The value obtained for the magnetization is 7.9 μB per cell. As for the density of states at the Fermi level: 13.9 states/eV/cell.

The structure in CIF format:
```
data_YPuU
_cell_length_a 3.4967
_cell_length_b 3.4967
_cell_length_c 12.1428
_cell_angle_alpha 90.00
_cell_angle_beta 90.00
_cell_angle_gamma 90.00
_symmetry_space_group_name_H-M 'I 4 m m'
_symmetry_Int_Tables_number 107
_symmetry_space_group_name_Hall 'I 4 -2'
loop_
_atom_site_label
_atom_site_type_symbol
_atom_site_fract_x
_atom_site_fract_y
_atom_site_fract_z
Y1 Y 0.0000 0.0000 0.0000
Pu1 Pu 0.0000 0.0000 0.2909
U1 U 0.0000 0.0000 0.7162
```

---

Run x
Entry from the Alexandria database: crystalline YPuU at its relaxed geometry (PBE).

The value obtained for the magnetization is 11.0 μB per cell. As for the density of states at the Fermi level: 29.8 states/eV/cell.

The structure in CIF format:
```
data_YPuU
_cell_length_a 3.4776
_cell_length_b 3.4776
_cell_length_c 25.0155
_cell_angle_alpha 90.00
_cell_angle_beta 90.00
_cell_angle_gamma 90.00
_symmetry_space_group_name_H-M 'I 4/m m m'
_symmetry_Int_Tables_number 139
_symmetry_space_group_name_Hall '-I 4 2'
loop_
_atom_site_label
_atom_site_type_symbol
_atom_site_fract_x
_atom_site_fract_y
_atom_site_fract_z
Y1 Y 0.0000 0.0000 0.0703
Pu1 Pu 0.0000 0.0000 0.3322
U1 U 0.0000 0.0000 0.2060
```

---

run w is preferred energetically. Next in line: 33 meV/atom higher.

---

Run w
Entry from the Alexandria database: crystalline PuV3 at its relaxed geometry (PBE).

The value obtained for the magnetization is 3.4 μB per cell. As for the density of states at the Fermi level: 7.3 states/eV/cell.

The structure in CIF format:
```
data_PuV3
_cell_length_a 4.4557
_cell_length_b 4.4557
_cell_length_c 3.0646
_cell_angle_alpha 90.00
_cell_angle_beta 90.00
_cell_angle_gamma 90.00
_symmetry_space_group_name_H-M 'P 4/m m m'
_symmetry_Int_Tables_number 123
_symmetry_space_group_name_Hall '-P 4 2'
loop_
_atom_site_label
_atom_site_type_symbol
_atom_site_fract_x
_atom_site_fract_y
_atom_site_fract_z
Pu1 Pu 0.0000 0.0000 0.0000
V1 V 0.0000 0.5000 0.5000
V2 V 0.5000 0.5000 0.0000
```

---

Run x
Entry from the Alexandria database: crystalline PuV3 at its relaxed geometry (PBE).

The value obtained for the magnetization is 13.0 μB per cell. As for the density of states at the Fermi level: 30.0 states/eV/cell.

The structure in CIF format:
```
data_PuV3
_cell_length_a 6.2403
_cell_length_b 6.2403
_cell_length_c 6.2403
_cell_angle_alpha 90.00
_cell_angle_beta 90.00
_cell_angle_gamma 90.00
_symmetry_space_group_name_H-M 'F m -3 m'
_symmetry_Int_Tables_number 225
_symmetry_space_group_name_Hall '-F 4 2 3'
loop_
_atom_site_label
_atom_site_type_symbol
_atom_site_fract_x
_atom_site_fract_y
_atom_site_fract_z
Pu1 Pu 0.0000 0.0000 0.0000
V1 V 0.0000 0.0000 0.5000
V2 V 0.2500 0.2500 0.2500
```

---

Run y
T3: 3 Cards in hand
Play an Island. Tap the Elvish Mystic and Forest to activate Nykthos for 6 floating Green mana. Tap the Island for a blue mana, and cast Elite Arcanist with the blue mana and 3 green mana, exiling Triton Tactics.
T4: 1 Card in hand
Tap the Elvish Mystic and Forest to activate Nykthos for 6 floating green mana. Tap Voyaging Satyr to untap Nykthos, and tap Elite Arcanist, paying 1 mana to cast Triton Tactics, targeting Elite Arcanist and Voyaging Satyr. Use Voyaging Satyr to untap Nykthos as much as you wish, tapping Elite Arcanist to cast Triton Tactics to untap Elite Arcanist and Voyaging Satyr for unlimited green mana on turn 4.
November 22, 2013 3:21 a.m.
TheWaltSpot says... #23
maybe run Primeval Bounty along with Into the Wilds because i think they work well together.
December 1, 2013 2:53 p.m.
kcajattack says... #24
i made a deck modled after this one and it is a little less expensive and a pretty good ramp. hydra devotion
December 1, 2013 4:11 p.m.
SasukeUchiha says... #25
Of 32 creatures about 11 have the ability to swing over 2. I think a little less ramp, and a little more damage dealers might be good. since mono green has no real way to dig through your deck, one more into the wilds might be good. This at least can help get rid of lands from your draws to allow more creatures to be played.
Apoptosis says... #1
Most of the cards you can get pretty cheap through eBay, etc. Garruk is the only one that has recently spiked in value.
November 14, 2013 11:42 p.m.